## Contents
Record 1
Here is Pu2TeCl after structural relaxation from the Alexandria database. Energies are from PBE.

Results
The calculation puts the energy above the most stable polymorph in this dataset at 0.093 eV/atom. As for the raw formation energy: -3.9 eV per formula unit. Its raw total energy is -112.7 eV per cell.

Cell: 4.0957 4.0957 23.0954 Å, 90.00 90.00 120.00°
Space group R3m (No. 160, hexagonal axes)
Symmetry-distinct sites (fractional):
1 Pu 0.0000 0.0000 0.0000 x3
2 Pu 0.0000 0.0000 0.1598 x3
3 Te 0.0000 0.0000 0.5807 x3
4 Cl 0.0000 0.0000 0.4105 x3

Record 2
Here is Pu2TeCl3 after structural relaxation from the Alexandria database. Energies are from PBE.

Results
The calculation puts the energy above the most stable polymorph in this dataset at 0.000 eV/atom. As for the raw formation energy: -9.6 eV per formula unit. Its raw total energy is -187.9 eV per cell.

Cell: 16.338 4.319 11.293 Å, 90.00 112.21 90.00°
Space group C2/m (No. 12)
Symmetry-distinct sites (fractional):
1 Pu 0.025 0.000 0.187 x4
2 Pu 0.229 0.500 0.835 x4
3 Te 0.119 0.500 0.024 x4
4 Cl 0.044 0.500 0.342 x4
5 Cl 0.124 0.000 0.724 x4
6 Cl 0.204 0.000 0.342 x4

Record 3
Here is Pu2TeCl3 after structural relaxation from the Alexandria database. Energies are from PBE.

Results
The calculation puts the energy above the most stable polymorph in this dataset at 0.004 eV/atom. As for the raw formation energy: -9.6 eV per formula unit. Its raw total energy is -187.8 eV per cell.

Cell: 18.218 4.154 10.164 Å, 90.00 121.05 90.00°
Space group C2/m (No. 12)
Symmetry-distinct sites (fractional):
1 Pu 0.000 0.000 0.180 x4
2 Pu 0.220 0.500 0.752 x4
3 Te 0.117 0.500 0.129 x4
4 Cl 0.031 0.500 0.674 x4
5 Cl 0.156 0.000 0.521 x4
6 Cl 0.177 0.000 0.898 x4

Record 4
Here is Pu3TeCl3 after structural relaxation from the Alexandria database. Energies are from PBE.

Results
As for the raw formation energy: -4.7 eV per formula unit. Its raw total energy is -338.2 eV per cell.

Cell: 6.4508 6.4508 30.8751 Å, 90.00 90.00 120.00°
Space group R-3 (No. 148, hexagonal axes)
Symmetry-distinct sites (fractional):
1 Pu 0.0001 0.2101 0.4415 x18
2 Te 0.0000 0.0000 0.1667 x6
3 Cl 0.9998 0.4234 0.6083 x18

Record 5
Here is Pu2TeCl after structural relaxation from the Alexandria database. Energies are from PBE.

Results
The calculation puts the energy above the most stable polymorph in this dataset at 0.000 eV/atom. As for the raw formation energy: -4.3 eV per formula unit. Its raw total energy is -113.9 eV per cell.

Cell: 4.3066 4.3066 19.9892 Å, 90.00 90.00 120.00°
Space group R-3m (No. 166, hexagonal axes)
Symmetry-distinct sites (fractional):
1 Pu 0.0000 0.0000 0.2397 x6
2 Te 0.0000 0.0000 0.0000 x3
3 Cl 0.0000 0.0000 0.5000 x3

Record 6
Here is Pu2TeCl5 after structural relaxation from the Alexandria database. Energies are from PBE.

Results
As for the raw formation energy: -11.9 eV per formula unit. Its raw total energy is -105.8 eV per cell.

Cell: 4.537 8.579 10.602 Å, 90.00 90.00 90.00°
Space group Immm (No. 71)
Symmetry-distinct sites (fractional):
1 Pu 0.000 0.000 0.245 x4
2 Te 0.000 0.500 0.500 x2
3 Cl 0.000 0.000 0.500 x2
4 Cl 0.000 0.316 0.167 x8

Record 7
Here is Pu2TeCl after structural relaxation from the Alexandria database. Energies are from PBE.

Results
The calculation puts the energy above the most stable polymorph in this dataset at 0.083 eV/atom. As for the raw formation energy: -4.0 eV per formula unit. Its raw total energy is -150.5 eV per cell.

Cell: 7.455 7.455 7.455 Å, 90.00 90.00 90.00°
Space group Fm-3m (No. 225)
Symmetry-distinct sites (fractional):
1 Pu 0.250 0.250 0.250 x8
2 Te 0.000 0.000 0.000 x4
3 Cl 0.000 0.000 0.500 x4

Record 8
Here is PuTeCl3 after structural relaxation from the Alexandria database. Energies are from PBE.

Results
As for the raw formation energy: -5.9 eV per formula unit. Its raw total energy is -57.8 eV per cell.

Cell: 6.534 7.464 7.424 Å, 90.00 90.19 90.00°
Space group Pm (No. 6)
Symmetry-distinct sites (fractional):
## Request
Could you give back the whole of the notes further above with every line break kept?
## Done
Record 1
Here is Pu2TeCl after structural relaxation from the Alexandria database. Energies are from PBE.

Results
The calculation puts the energy above the most stable polymorph in this dataset at 0.093 eV/atom. As for the raw formation energy: -3.9 eV per formula unit. Its raw total energy is -112.7 eV per cell.

Cell: 4.0957 4.0957 23.0954 Å, 90.00 90.00 120.00°
Space group R3m (No. 160, hexagonal axes)
Symmetry-distinct sites (fractional):
1 Pu 0.0000 0.0000 0.0000 x3
2 Pu 0.0000 0.0000 0.1598 x3
3 Te 0.0000 0.0000 0.5807 x3
4 Cl 0.0000 0.0000 0.4105 x3

Record 2
Here is Pu2TeCl3 after structural relaxation from the Alexandria database. Energies are from PBE.

Results
The calculation puts the energy above the most stable polymorph in this dataset at 0.000 eV/atom. As for the raw formation energy: -9.6 eV per formula unit. Its raw total energy is -187.9 eV per cell.

Cell: 16.338 4.319 11.293 Å, 90.00 112.21 90.00°
Space group C2/m (No. 12)
Symmetry-distinct sites (fractional):
1 Pu 0.025 0.000 0.187 x4
2 Pu 0.229 0.500 0.835 x4
3 Te 0.119 0.500 0.024 x4
4 Cl 0.044 0.500 0.342 x4
5 Cl 0.124 0.000 0.724 x4
6 Cl 0.204 0.000 0.342 x4

Record 3
Here is Pu2TeCl3 after structural relaxation from the Alexandria database. Energies are from PBE.

Results
The calculation puts the energy above the most stable polymorph in this dataset at 0.004 eV/atom. As for the raw formation energy: -9.6 eV per formula unit. Its raw total energy is -187.8 eV per cell.

Cell: 18.218 4.154 10.164 Å, 90.00 121.05 90.00°
Space group C2/m (No. 12)
Symmetry-distinct sites (fractional):
1 Pu 0.000 0.000 0.180 x4
2 Pu 0.220 0.500 0.752 x4
3 Te 0.117 0.500 0.129 x4
4 Cl 0.031 0.500 0.674 x4
5 Cl 0.156 0.000 0.521 x4
6 Cl 0.177 0.000 0.898 x4

Record 4
Here is Pu3TeCl3 after structural relaxation from the Alexandria database. Energies are from PBE.

Results
As for the raw formation energy: -4.7 eV per formula unit. Its raw total energy is -338.2 eV per cell.

Cell: 6.4508 6.4508 30.8751 Å, 90.00 90.00 120.00°
Space group R-3 (No. 148, hexagonal axes)
Symmetry-distinct sites (fractional):
1 Pu 0.0001 0.2101 0.4415 x18
2 Te 0.0000 0.0000 0.1667 x6
3 Cl 0.9998 0.4234 0.6083 x18

Record 5
Here is Pu2TeCl after structural relaxation from the Alexandria database. Energies are from PBE.

Results
The calculation puts the energy above the most stable polymorph in this dataset at 0.000 eV/atom. As for the raw formation energy: -4.3 eV per formula unit. Its raw total energy is -113.9 eV per cell.

Cell: 4.3066 4.3066 19.9892 Å, 90.00 90.00 120.00°
Space group R-3m (No. 166, hexagonal axes)
Symmetry-distinct sites (fractional):
1 Pu 0.0000 0.0000 0.2397 x6
2 Te 0.0000 0.0000 0.0000 x3
3 Cl 0.0000 0.0000 0.5000 x3

Record 6
Here is Pu2TeCl5 after structural relaxation from the Alexandria database. Energies are from PBE.

Results
As for the raw formation energy: -11.9 eV per formula unit. Its raw total energy is -105.8 eV per cell.

Cell: 4.537 8.579 10.602 Å, 90.00 90.00 90.00°
Space group Immm (No. 71)
Symmetry-distinct sites (fractional):
1 Pu 0.000 0.000 0.245 x4
2 Te 0.000 0.500 0.500 x2
3 Cl 0.000 0.000 0.500 x2
4 Cl 0.000 0.316 0.167 x8

Record 7
Here is Pu2TeCl after structural relaxation from the Alexandria database. Energies are from PBE.

Results
The calculation puts the energy above the most stable polymorph in this dataset at 0.083 eV/atom. As for the raw formation energy: -4.0 eV per formula unit. Its raw total energy is -150.5 eV per cell.

Cell: 7.455 7.455 7.455 Å, 90.00 90.00 90.00°
Space group Fm-3m (No. 225)
Symmetry-distinct sites (fractional):
1 Pu 0.250 0.250 0.250 x8
2 Te 0.000 0.000 0.000 x4
3 Cl 0.000 0.000 0.500 x4

Record 8
Here is PuTeCl3 after structural relaxation from the Alexandria database. Energies are from PBE.

Results
As for the raw formation energy: -5.9 eV per formula unit. Its raw total energy is -57.8 eV per cell.

Cell: 6.534 7.464 7.424 Å, 90.00 90.19 90.00°
Space group Pm (No. 6)
Symmetry-distinct sites (fractional):